_Listing_
This record from the Open Molecules 2025 dataset describes a 2-piece molecular cluster, C2H9NO overall. The level of theory is the ωB97M-V functional and the def2-TZVPD basis.

Summary:
Frontier orbital gap (spin up / spin down) in Eh: 0.3487 / 0.1164
Total charge: +1
DFT total energy in eV: -5746.862
Spin multiplicity: 2
Energy relative to the best compared isomer or geometry (same formula, charge and spin) in kcal/mol: 32.7
LUMO energy (spin up / spin down) in Eh: -0.12018 / -0.35197

Geometry (Å):
C (-0.32, -1.91, -0.52)
N (-1.84, 3.15, 1.62)
H (-0.57, -2.72, -1.21)
H (-1.14, -1.18, -0.54)
H (-0.24, -2.28, 0.50)
H (-2.71, 2.96, 2.11)
H (-2.22, 3.80, 0.94)
H (-1.13, 3.58, 2.19)
C (1.73, -0.58, -0.45)
O (0.75, -1.29, -1.13)
H (2.70, -0.76, -0.93)
H (1.79, -0.94, 0.58)
H (1.58, 0.50, -0.58)

* * * * *

{
  "formula": "C26H67N2O10",
  "method": "ωB97M-V/def2-TZVPD",

_Brief_
Start at the top of the data further above and duplicate each line, ending with the one that has "(-1.14, -1.18,", please.

_Completed_
This record from the Open Molecules 2025 dataset describes a 2-piece molecular cluster, C2H9NO overall. The level of theory is the ωB97M-V functional and the def2-TZVPD basis.

Summary:
Frontier orbital gap (spin up / spin down) in Eh: 0.3487 / 0.1164
Total charge: +1
DFT total energy in eV: -5746.862
Spin multiplicity: 2
Energy relative to the best compared isomer or geometry (same formula, charge and spin) in kcal/mol: 32.7
LUMO energy (spin up / spin down) in Eh: -0.12018 / -0.35197

Geometry (Å):
C (-0.32, -1.91, -0.52)
N (-1.84, 3.15, 1.62)
H (-0.57, -2.72, -1.21)
H (-1.14, -1.18, -0.54)